**Exercise:**
Type out the lines further down up to the one that holds "0.530 0.470", that line included.

**Data:**
-- begin --
# Dy2Tm5Th3
Simulated powder X-ray diffraction pattern, Cu Kα (λ = 1.5418 Å). Input: a DFT-relaxed cell (GGA-PBE, Alexandria).
Neutral-atom scattering factors, no anomalous dispersion.

Atomic structure:
abc: 9.868 9.868 8.980
angles: 108.54 108.54 114.87
Atoms (fractional coordinates):
Dy 0.027 0.267 0.041
Dy 0.267 0.027 0.541
Dy 0.733 0.973 0.459
Dy 0.973 0.733 0.959
Tm 0.031 0.969 0.750
Tm 0.124 0.367 0.743
Tm 0.220 0.780 0.750
Tm 0.367 0.124 0.243
Tm 0.470 0.530 0.250
Tm 0.530 0.470 0.750
Tm 0.633 0.876 0.757
Tm 0.780 0.220 0.250
Tm 0.876 0.633 0.257
Tm 0.969 0.031 0.250
Th 0.239 0.490 0.472
Th 0.272 0.728 0.250
Th 0.490 0.239 0.972
Th 0.510 0.761 0.028
Th 0.728 0.272 0.750
Th 0.761 0.510 0.528

Largest 10 diffraction maxima, by angle, 5° ≤ 2θ ≤ 70°:
| 2θ (°) | I (rel.) |
| --- | --- |
| 29.95 | 77 |
| 31.78 | 100 |
| 32.79 | 23 |
| 33.75 | 43 |
-- stop --

**Outcome:**
# Dy2Tm5Th3
Simulated powder X-ray diffraction pattern, Cu Kα (λ = 1.5418 Å). Input: a DFT-relaxed cell (GGA-PBE, Alexandria).
Neutral-atom scattering factors, no anomalous dispersion.

Atomic structure:
abc: 9.868 9.868 8.980
angles: 108.54 108.54 114.87
Atoms (fractional coordinates):
Dy 0.027 0.267 0.041
Dy 0.267 0.027 0.541
Dy 0.733 0.973 0.459
Dy 0.973 0.733 0.959
Tm 0.031 0.969 0.750
Tm 0.124 0.367 0.743
Tm 0.220 0.780 0.750
Tm 0.367 0.124 0.243
Tm 0.470 0.530 0.250
Tm 0.530 0.470 0.750